## Listing
*one*
VASP calculation (PBE-GGA) on a relaxed structure of BaLiP3.

extended XYZ file:
```
5
Lattice="-4.130 -1.629 1.640 1.816 -4.364 0.239 1.430 0.838 4.433" Properties=species:S:1:pos:R:3 pbc="T T T"
P -2.065 -0.814 0.820
P 0.908 -2.182 0.120
Ba -0.442 -2.577 3.156
Li 0.000 0.000 0.000
P 0.715 0.419 2.217
```

- Density of states at the Fermi level: 3.06 states/eV per cell

*two*
VASP calculation (PBE-GGA) on a relaxed structure of BaLiP3.

extended XYZ file:
```
5
Lattice="5.741 0.000 0.000 0.000 5.741 0.000 0.000 0.000 5.741" Properties=species:S:1:pos:R:3 pbc="T T T"
P 2.871 0.000 0.000
Li 2.871 2.871 2.871
P 0.000 2.871 0.000
P 0.000 0.000 2.871
Ba 0.000 0.000 0.000
```

- Density of states at the Fermi level: 7.27 states/eV per cell

In order of decreasing stability: *one*, *two*.

*one*
VASP calculation (PBE-GGA) on a relaxed structure of BaLi3P.

extended XYZ file:
```
5
Lattice="-2.255 3.049 3.042 2.940 -1.419 3.602 3.147 3.511 -1.186" Properties=species:S:1:pos:R:3 pbc="T T T"
Li 1.573 1.755 -0.593
P 0.000 0.000 0.000
Li 1.470 -0.709 1.801
Ba 1.916 2.570 2.729
Li -1.128 1.524 1.521
```

- Density of states at the Fermi level: 2.33 states/eV per cell

*two*
VASP calculation (PBE-GGA) on a relaxed structure of BaLi3P.

extended XYZ file:
```
5
Lattice="5.312 0.000 0.000 0.000 5.312 0.000 0.000 0.000 5.312" Properties=species:S:1:pos:R:3 pbc="T T T"
Ba 0.000 0.000 0.000
Li 2.656 0.000 0.000
Li 0.000 0.000 2.656
P 2.656 2.656 2.656
Li 0.000 2.656 0.000
```

- Density of states at the Fermi level: 5.58 states/eV per cell

In order of decreasing stability: *one*, *two*.

*one*
VASP calculation (PBE-GGA) on a relaxed structure of Ba2Li2P.

extended XYZ file:
```
10
Lattice="7.255 0.000 0.000 0.000 7.255 0.000 0.000 0.000 5.163" Properties=species:S:1:pos:R:3 pbc="T T T"
P 3.628 3.628 0.000
Li 1.016 2.612 0.000
Ba 5.851 2.223 2.581
Li 4.644 1.016 0.000
Li 6.239 4.644 0.000
Ba 5.032 5.851 2.581
Li 2.612 6.239 0.000
P 0.000 0.000 0.000
Ba 1.404 5.032 2.581
Ba 2.223 1.404 2.581
```

- Density of states at the Fermi level: 13.22 states/eV per cell

*two*
VASP calculation (PBE-GGA) on a relaxed structure of Ba2Li2P.

extended XYZ file:
```
5
Lattice="-2.405 0.304 3.210 -2.877 -2.010 -1.966 1.141 -9.873 4.311" Properties=species:S:1:pos:R:3 pbc="T T T"
Li -2.189 -6.368 1.484
Ba -2.115 -9.261 4.334
Li -1.953 -5.211 4.071
P 0.000 0.000 0.000
Ba -2.027 -2.318 1.221
```

- Density of states at the Fermi level: 4.13 states/eV per cell

In order of decreasing stability: *two*, *one*.

*one*
VASP calculation (PBE-GGA) on a relaxed structure of Ba2SrLiP.

extended XYZ file:
```
5
Lattice="6.347 0.000 0.000 0.000 6.347 0.000 0.000 0.000 5.961" Properties=species:S:1:pos:R:3 pbc="T T T"
Ba 0.000 3.173 0.000
Li 3.173 3.173 2.980
Ba 3.173 0.000 0.000
Sr 0.000 0.000 2.980
P 0.000 0.000 0.000
```

- Density of states at the Fermi level: 4.79 states/eV per cell

*two*
VASP calculation (PBE-GGA) on a relaxed structure of Ba2SrLiP.

extended XYZ file:
```
5
Lattice="6.987 0.000 0.000 0.000 5.492 0.000 0.000 0.000 6.987" Properties=species:S:1:pos:R:3 pbc="T T T"
Li 3.494 2.746 3.494
Ba 0.000 0.000 3.494
P 0.000 2.746 0.000
Sr 0.000 0.000 0.000
Ba 3.494 0.000 0.000
```

- Density of states at the Fermi level: 4.36 states/eV per cell

In order of decreasing stability: *one*, *two*.

*one*
VASP calculation (PBE-GGA) on a relaxed structure of BaLiPb3.

extended XYZ file:
```
5
Lattice="-1.978 -3.885 -2.731 3.206 1.170 -3.994 4.667 -4.965 -1.171" Properties=species:S:1:pos:R:3 pbc="T T T"
Li 5.569 -2.289 -4.199
Pb 0.837 -2.923 -4.719
Pb 3.720 -3.474 -6.022
Ba 4.166 -5.886 -2.923
Pb 3.152 -2.155 -2.645
```

- Density of states at the Fermi level: 2.50 states/eV per cell

*two*
VASP calculation (PBE-GGA) on a relaxed structure of BaLiPb3.

extended XYZ file:
```
5
Lattice="-2.661 0.162 4.674 1.088 -5.209 0.799 4.549 1.340 2.543" Properties=species:S:1:pos:R:3 pbc="T T T"
Pb 0.544 -2.605 0.400
Pb 2.275 0.670 1.271
Li 0.000 0.000 0.000
## What to do
Next, copy the calculation results further above from the first line to the one with "level: 2.50" character by character.
## Worked solution
*one*
VASP calculation (PBE-GGA) on a relaxed structure of BaLiP3.

extended XYZ file:
```
5
Lattice="-4.130 -1.629 1.640 1.816 -4.364 0.239 1.430 0.838 4.433" Properties=species:S:1:pos:R:3 pbc="T T T"
P -2.065 -0.814 0.820
P 0.908 -2.182 0.120
Ba -0.442 -2.577 3.156
Li 0.000 0.000 0.000
P 0.715 0.419 2.217
```

- Density of states at the Fermi level: 3.06 states/eV per cell

*two*
VASP calculation (PBE-GGA) on a relaxed structure of BaLiP3.

extended XYZ file:
```
5
Lattice="5.741 0.000 0.000 0.000 5.741 0.000 0.000 0.000 5.741" Properties=species:S:1:pos:R:3 pbc="T T T"
P 2.871 0.000 0.000
Li 2.871 2.871 2.871
P 0.000 2.871 0.000
P 0.000 0.000 2.871
Ba 0.000 0.000 0.000
```

- Density of states at the Fermi level: 7.27 states/eV per cell

In order of decreasing stability: *one*, *two*.

*one*
VASP calculation (PBE-GGA) on a relaxed structure of BaLi3P.

extended XYZ file:
```
5
Lattice="-2.255 3.049 3.042 2.940 -1.419 3.602 3.147 3.511 -1.186" Properties=species:S:1:pos:R:3 pbc="T T T"
Li 1.573 1.755 -0.593
P 0.000 0.000 0.000
Li 1.470 -0.709 1.801
Ba 1.916 2.570 2.729
Li -1.128 1.524 1.521
```

- Density of states at the Fermi level: 2.33 states/eV per cell

*two*
VASP calculation (PBE-GGA) on a relaxed structure of BaLi3P.

extended XYZ file:
```
5
Lattice="5.312 0.000 0.000 0.000 5.312 0.000 0.000 0.000 5.312" Properties=species:S:1:pos:R:3 pbc="T T T"
Ba 0.000 0.000 0.000
Li 2.656 0.000 0.000
Li 0.000 0.000 2.656
P 2.656 2.656 2.656
Li 0.000 2.656 0.000
```

- Density of states at the Fermi level: 5.58 states/eV per cell

In order of decreasing stability: *one*, *two*.

*one*
VASP calculation (PBE-GGA) on a relaxed structure of Ba2Li2P.

extended XYZ file:
```
10
Lattice="7.255 0.000 0.000 0.000 7.255 0.000 0.000 0.000 5.163" Properties=species:S:1:pos:R:3 pbc="T T T"
P 3.628 3.628 0.000
Li 1.016 2.612 0.000
Ba 5.851 2.223 2.581
Li 4.644 1.016 0.000
Li 6.239 4.644 0.000
Ba 5.032 5.851 2.581
Li 2.612 6.239 0.000
P 0.000 0.000 0.000
Ba 1.404 5.032 2.581
Ba 2.223 1.404 2.581
```

- Density of states at the Fermi level: 13.22 states/eV per cell

*two*
VASP calculation (PBE-GGA) on a relaxed structure of Ba2Li2P.

extended XYZ file:
```
5
Lattice="-2.405 0.304 3.210 -2.877 -2.010 -1.966 1.141 -9.873 4.311" Properties=species:S:1:pos:R:3 pbc="T T T"
Li -2.189 -6.368 1.484
Ba -2.115 -9.261 4.334
Li -1.953 -5.211 4.071
P 0.000 0.000 0.000
Ba -2.027 -2.318 1.221
```

- Density of states at the Fermi level: 4.13 states/eV per cell

In order of decreasing stability: *two*, *one*.

*one*
VASP calculation (PBE-GGA) on a relaxed structure of Ba2SrLiP.

extended XYZ file:
```
5
Lattice="6.347 0.000 0.000 0.000 6.347 0.000 0.000 0.000 5.961" Properties=species:S:1:pos:R:3 pbc="T T T"
Ba 0.000 3.173 0.000
Li 3.173 3.173 2.980
Ba 3.173 0.000 0.000
Sr 0.000 0.000 2.980
P 0.000 0.000 0.000
```

- Density of states at the Fermi level: 4.79 states/eV per cell

*two*
VASP calculation (PBE-GGA) on a relaxed structure of Ba2SrLiP.

extended XYZ file:
```
5
Lattice="6.987 0.000 0.000 0.000 5.492 0.000 0.000 0.000 6.987" Properties=species:S:1:pos:R:3 pbc="T T T"
Li 3.494 2.746 3.494
Ba 0.000 0.000 3.494
P 0.000 2.746 0.000
Sr 0.000 0.000 0.000
Ba 3.494 0.000 0.000
```

- Density of states at the Fermi level: 4.36 states/eV per cell

In order of decreasing stability: *one*, *two*.

*one*
VASP calculation (PBE-GGA) on a relaxed structure of BaLiPb3.

extended XYZ file:
```
5
Lattice="-1.978 -3.885 -2.731 3.206 1.170 -3.994 4.667 -4.965 -1.171" Properties=species:S:1:pos:R:3 pbc="T T T"
Li 5.569 -2.289 -4.199
Pb 0.837 -2.923 -4.719
Pb 3.720 -3.474 -6.022
Ba 4.166 -5.886 -2.923
Pb 3.152 -2.155 -2.645
```

- Density of states at the Fermi level: 2.50 states/eV per cell